GreyGold Project Space - Presented by ForbiddnJuice
5 videos
Updated 1 year ago
This is a playlist of showcase videos featuring my amateur art and other picture creations made by me (unless explicitly stated)! Enjoy!
........
The following is a quantum chemistry calculation of C9H26Mn2O11S3 as an isolated structure in a non-equilibrium geometry, from the OMol25 dataset.

```
! RIJCOSX wB97M-V def2-TZVPD def2/J DEFGRID3
* xyz 2 11
Mn -3.0510 2.7839 1.3919
Mn -0.2682 1.4666 2.2619
S -5.0205 1.5651 -1.3878
S 2.2090 2.5211 0.0478
S 0.9685 -1.6087 0.9444
O 2.9520 3.7240 0.2636
O 2.3742 -2.2108 1.4362
O -4.2175 2.1002 -0.2799
O -5.7683 2.4944 -2.1825
O -4.0423 0.6894 -2.2662
O 0.9250 2.3639 0.7034
O 0.6573 -0.5057 1.8304
O 3.0799 1.2590 0.6205
O 1.1168 -1.3814 -0.4655
O -1.7926 1.1539 0.9147
O -1.5086 3.1354 2.6241
C 4.5022 1.2291 0.2986
C -6.1768 0.3263 -0.7965
C 1.9497 2.0170 -1.7078
C 5.1451 0.0708 1.0187
C 2.5278 -2.8127 2.7219
C -4.2496 0.5385 -3.6943
C -3.2662 -0.4785 -4.2163
C -0.0940 -3.0144 1.1828
C 3.8492 -3.5527 2.7318
H -5.2891 0.2699 -3.9001
H -5.5994 -0.4988 -0.3876
H -0.6746 -2.9898 2.1001
H -4.1091 1.5163 -4.1571
H -6.7758 -0.0219 -1.6361
H -6.8574 0.8227 -0.1077
H 4.6319 1.2366 -0.7830
H 1.6161 0.9821 -1.7245
H 6.2152 0.2929 1.0006
H 4.9254 -0.0271 2.0817
H -0.8100 -2.8945 0.3660
H 3.8801 -4.2662 1.9138
H 4.9419 -0.8899 0.5527
H 4.8940 2.1558 0.7250
H 2.5031 -2.1086 3.5584
H -1.6443 0.4059 0.3418
H 1.7214 -3.5205 2.9417
H 4.6558 -2.8162 2.6588
H -2.2753 -0.0209 -4.1946
H -3.5959 -0.8363 -5.1862
H 4.1163 -3.9564 3.7086
H -3.1351 -1.3192 -3.5317
H 1.2772 2.7478 -2.1468
H 0.5171 -3.8923 1.0025
H 2.9195 2.0418 -2.2035
H -0.8498 3.7130 3.0112
*
```

Summary:
**HOMO (spin up / spin down)**: -0.5917 / -0.6034 Ha
**HOMO-LUMO gap (spin up / spin down)**: 9.60 / 9.35 eV
**Energy above the lowest of the compared OMol25 structures with the same formula, charge and spin**: 0.0 kJ/mol

The following is a quantum chemistry calculation of a 3-piece molecular cluster, C9H26N2O3 overall in a non-equilibrium geometry, from the OMol25 dataset.

```
! RIJCOSX wB97M-V def2-TZVPD def2/J DEFGRID3
* xyz 0 1
O -4.2468 4.4171 6.3578
O 3.7570 -4.2664 -5.8312
O -1.8577 -0.0332 -1.4681
N -2.7484 3.0068 4.4261
N 6.1601 -2.9900 -4.5972
C 5.2925 -0.9415 -5.0488
C -3.5482 2.4184 5.4514
C 4.8590 -2.3869 -4.6904
C -2.7359 1.0969 5.6367
C 3.8551 -2.8900 -5.7887
C -2.8029 -1.0497 -1.8106
C -3.5606 3.2626 6.7543
C 2.8238 -4.7060 -6.8358
C -4.7452 5.1158 7.4511
H -5.5037 4.5344 7.9753
H -3.1622 0.3074 6.2555
H 4.3533 -2.4352 -3.7261
H 2.9744 -5.7848 -6.8761
H -5.1784 6.0697 7.1503
H 2.8525 -2.4679 -5.7217
H -2.5360 3.5209 7.0218
H -1.8135 3.1053 4.7954
H -2.5642 0.5335 4.7195
H 4.4005 -2.6316 -6.6964
H 2.8467 -4.2852 -7.8410
H 1.8595 -4.6682 -6.3289
H 5.8141 -0.4636 -4.2197
H -2.5660 -1.4290 -2.8047
H -2.0691 0.4055 -0.6408
H 4.3442 -0.4274 -5.2054
H -4.0411 2.6804 7.5406
H 5.8693 -0.9367 -5.9737
H -3.8171 -0.7010 -1.6161
H -4.0319 5.5195 8.1698
H -4.5462 2.2276 5.0568
H 6.3857 -3.5605 -5.3996
H 6.9334 -2.3403 -4.6057
H -2.5462 -1.8353 -1.0999
H -1.7212 1.1192 6.0341
H -3.0384 3.8894 4.0300
*
```

Summary:
**SMILES string**: COC[C@H](C)N.COC[C@H](C)N.CO
**HOMO**: -0.3223 Ha
........
P.S. I'm not a very good artist, don't attack me pls (my mental health and sanity frankly can't take it)
AAVF's AI Art Dump
AppleCore Pictures[Program used: Bing AI Image Creator (https://www.bing.com/create). Originally uploaded to the AAVF Studios Youtube Channel on. Oct 20, 2023] Whoo! I've been busy with school (I will now disclose that I am in Uni), so I haven't had much time for content creation, including drafting and working on projects. So, I figured, "Hey, why don't I let AI do the work for me?" I mean, AI is a top of hot contention right now, and this isn't my first rodeo with it, so I did it. Now, that doesn't mean I've sold my soul to the Ai devil of unorginality to stoop as low as content theft, it's that this helps keep my channel "fresh" while I handle life issues and my chronic laziness. Enjoy this AI art fest! P.S. It's actually impressive how clean and "realistic" AI art looks (some of the better ones, anyway).26 views -
AAVF UnArtDump
AppleCore PicturesI am working (slowly) on more art and animation, but for now, I am too tired to create stuff by myself. so I compiled a set of six AI-made "artworks" (I won't delve too much into the debate of whether AI art actually constitutes art) that I generated a couple months back. They're pretty good, not what I was expecting, but good. So yeah, enjoy these pieces of blatant intellectual plagiarism! AI used - Hotpot (https://hotpot.ai/) Style - Hotpot Art 66 views -
AAVF ArtShow #3
AppleCore PicturesWelcome back to the third AAVF art show! Inside, finely curated masterpieces await for you to witness in all their glory and splendour! Made with 100% heart and soul.3 views -
AAVF ArtShow #2
AppleCore PicturesWelcome to another AAVF arts showcase, featuring 5 masterpieces made by me! I also created a DeviantArt page (Feb 22, 2023) just to post the art I made for this video. Enjoy! (and check my DeviantArt) My page: https://www.deviantart.com/d-artcorporation1 view -
AAVF ArtShow #1
AppleCore PicturesWelcome to my first art showcase video, presented by the Forbiddn Juice division of the AAVF. This is the first video under the newly-created subdivision of the AAVF, GreyGold Projects, which will focus (mostly) on art made by me. All the art in this particular video is made by me. I did not rip it from off the internet and claim it as my own, because that would be petty. Enjoy! P.S. I'm. not a very good artist. Don't stone me for it. Edit: I do realize that I misspelled "Parallels" in Slide 1 and "Coconuts" on Slide 5. I'm too lazy to fix it.3 views